Copy the contents further below from the first line to the one with "0.0420 0.0844" character by character, please.
=====
No. 1
Here is crystalline Na10ScTa7Si12O48 at its relaxed geometry from Materials Project. Energies are from PBE.

Values from the calculation:
MP2020-corrected energy	-8.325	eV/atom

Cell: 18.0834 9.0522 22.4893 Å, 90.00 90.02 120.05°
With the nearest neighbours (Å) after each atom.
Positions (direct):
Na1 0.8150 0.0120 0.2461  5 O 2.36-2.58
Na2 0.1841 0.3669 0.2487  5 O 2.39-2.61
Na3 0.6889 0.3657 0.2452  4 O 2.35-2.46
Na4 0.9939 0.6177 0.2461  5 O 2.37-2.60
Na5 0.3156 0.6187 0.7471  5 O 2.38-2.64
Na6 0.8161 0.6190 0.7463  5 O 2.37-2.64
Na7 0.9932 0.3668 0.7460  5 O 2.38-2.65
Na8 0.4931 0.3659 0.7461  4 O 2.37-2.47
Na9 0.1905 0.0137 0.7475  5 O 2.37-2.65
Na10 0.6906 0.0142 0.7467  5 O 2.37-2.65
Na11 0.1548 0.3389 0.5847  5 O 2.42-2.69
Na12 0.6563 0.3388 0.5839  4 O 2.42-2.65
Na13 0.3330 0.9742 0.5840  6 O 2.43-2.69
Na14 0.8336 0.9769 0.5836  5 O 2.43-2.70
Na15 0.6528 0.9706 0.0855  5 O 2.40-2.62
Na16 0.8314 0.6892 0.0839  4 O 2.42-2.64
Na17 0.0158 0.3379 0.0827  5 O 2.42-2.66
Na18 0.4836 0.2998 0.4167  5 O 2.39-2.63
Na19 0.9998 0.9880 0.4963  6 O 2.46-2.67
Na20 0.5018 0.9792 0.4977  5 O 2.38-2.61
Na21 0.0072 0.9997 0.9967  6 O 2.42-2.67
Na22 0.4932 0.0009 0.9993  6 O 2.51-2.64
Na23 0.3327 0.3328 0.8346  6 O 2.50-2.55
Na24 0.8336 0.3332 0.8335  6 O 2.49-2.59
Na25 0.3332 0.3334 0.3318  6 O 2.51-2.60
Na26 0.8327 0.3318 0.3323  6 O 2.48-2.60
Na27 0.1786 0.6928 0.1633  5 O 2.38-2.64
Na28 0.6538 0.6507 0.1657  6 O 2.45-2.71
Na29 0.1601 0.6668 0.6650  6 O 2.50-2.67
Na30 0.6604 0.6674 0.6647  6 O 2.50-2.69
Sc1 0.3341 0.3338 0.6863  6 O 2.05-2.17
Sc2 0.8341 0.3343 0.6860  6 O 2.05-2.18
Sc3 0.8325 0.3330 0.1861  6 O 2.06-2.18
Ta1 0.0010 0.0014 0.3573  6 O 1.95-2.01
Ta2 0.4982 0.9955 0.3555  6 O 1.92-2.06
Ta3 0.0000 0.0011 0.8588  6 O 1.96-2.01
Ta4 0.5001 0.9993 0.8586  6 O 1.97-2.00
Ta5 0.9998 0.9965 0.6445  6 O 1.94-2.05
Ta6 0.5004 0.9977 0.6445  6 O 1.94-2.05
Ta7 0.0032 0.0008 0.1442  6 O 1.94-2.06
Ta8 0.4966 0.9979 0.1435  6 O 1.94-2.05
Ta9 0.3365 0.3341 0.1882  6 O 1.93-2.08
Ta10 0.3327 0.3328 0.9766  6 O 1.96-2.02
Ta11 0.8336 0.3341 0.9777  6 O 1.98-2.01
Ta12 0.3308 0.3354 0.4786  6 O 1.94-2.05
Ta13 0.8344 0.3338 0.4773  6 O 1.97-2.02
Ta14 0.1707 0.6735 0.0213  6 O 1.93-2.07
Ta15 0.6628 0.6600 0.0194  6 O 1.91-2.06
Ta16 0.1648 0.6662 0.5184  6 O 1.91-2.05
Ta17 0.6658 0.6683 0.5186  6 O 1.93-2.03
Ta18 0.1695 0.6715 0.3119  6 O 1.92-2.07
Ta19 0.6644 0.6659 0.3115  6 O 1.94-2.06
Ta20 0.1668 0.6662 0.8139  6 O 1.93-2.07
Ta21 0.6668 0.6666 0.8139  6 O 1.94-2.07
Si1 0.1447 0.9999 0.2512  4 O 1.63-1.66
Si2 0.6415 0.9960 0.2492  4 O 1.63-1.65
Si3 0.3565 0.7119 0.2500  4 O 1.63-1.65
Si4 0.8564 0.7147 0.2505  4 O 1.62-1.66
Si5 0.0008 0.2887 0.2508  4 O 1.62-1.66
Si6 0.4985 0.2844 0.2512  4 O 1.63-1.66
Si7 0.1423 0.2877 0.7508  4 O 1.62-1.67
Si8 0.6427 0.2881 0.7509  4 O 1.62-1.67
Si9 0.0013 0.7150 0.7522  4 O 1.62-1.67
Si10 0.5014 0.7148 0.7518  4 O 1.62-1.67
Si11 0.3558 0.9971 0.7511  4 O 1.62-1.67
Si12 0.8558 0.9977 0.7512  4 O 1.62-1.67
Si13 0.4798 0.3368 0.5842  4 O 1.61-1.67
Si14 0.9795 0.3367 0.5853  4 O 1.62-1.67
Si15 0.1874 0.0397 0.5850  4 O 1.62-1.66
Si16 0.6885 0.0424 0.5844  4 O 1.62-1.65
Si17 0.3339 0.6255 0.5845  4 O 1.62-1.65
Si18 0.8342 0.6234 0.5836  4 O 1.62-1.66
Si19 0.4760 0.6209 0.0821  4 O 1.62-1.66
Si20 0.9795 0.6234 0.0845  4 O 1.63-1.66
Si21 0.3333 0.0487 0.0826  4 O 1.62-1.64
Si22 0.8328 0.0420 0.0844  4 O 1.62-1.66
Si23 0.1919 0.3371 0.0841  4 O 1.63-1.67
Si24 0.6870 0.3321 0.0843  4 O 1.63-1.65
Si25 0.3116 0.6645 0.9164  4 O 1.63-1.66
Si26 0.8113 0.6655 0.9175  4 O 1.63-1.66
Si27 0.0225 0.3793 0.9186  4 O 1.63-1.66
Si28 0.5194 0.3750 0.9151  4 O 1.62-1.66
Si29 0.1674 0.9565 0.9165  4 O 1.63-1.66
Si30 0.6674 0.9578 0.9174  4 O 1.63-1.66
Si31 0.3115 0.9582 0.4175  4 O 1.63-1.64
Si32 0.8116 0.9566 0.4157  4 O 1.63-1.65
Si33 0.1669 0.3772 0.4158  4 O 1.63-1.65
Si34 0.6688 0.3774 0.4151  4 O 1.63-1.65
Si35 0.0214 0.6645 0.4142  4 O 1.63-1.64
Si36 0.5210 0.6686 0.4165  4 O 1.63-1.65
O1 0.0991 0.0310 0.3083  1 Si 1.63
=====
No. 1
Here is crystalline Na10ScTa7Si12O48 at its relaxed geometry from Materials Project. Energies are from PBE.

Values from the calculation:
MP2020-corrected energy	-8.325	eV/atom

Cell: 18.0834 9.0522 22.4893 Å, 90.00 90.02 120.05°
With the nearest neighbours (Å) after each atom.
Positions (direct):
Na1 0.8150 0.0120 0.2461  5 O 2.36-2.58
Na2 0.1841 0.3669 0.2487  5 O 2.39-2.61
Na3 0.6889 0.3657 0.2452  4 O 2.35-2.46
Na4 0.9939 0.6177 0.2461  5 O 2.37-2.60
Na5 0.3156 0.6187 0.7471  5 O 2.38-2.64
Na6 0.8161 0.6190 0.7463  5 O 2.37-2.64
Na7 0.9932 0.3668 0.7460  5 O 2.38-2.65
Na8 0.4931 0.3659 0.7461  4 O 2.37-2.47
Na9 0.1905 0.0137 0.7475  5 O 2.37-2.65
Na10 0.6906 0.0142 0.7467  5 O 2.37-2.65
Na11 0.1548 0.3389 0.5847  5 O 2.42-2.69
Na12 0.6563 0.3388 0.5839  4 O 2.42-2.65
Na13 0.3330 0.9742 0.5840  6 O 2.43-2.69
Na14 0.8336 0.9769 0.5836  5 O 2.43-2.70
Na15 0.6528 0.9706 0.0855  5 O 2.40-2.62
Na16 0.8314 0.6892 0.0839  4 O 2.42-2.64
Na17 0.0158 0.3379 0.0827  5 O 2.42-2.66
Na18 0.4836 0.2998 0.4167  5 O 2.39-2.63
Na19 0.9998 0.9880 0.4963  6 O 2.46-2.67
Na20 0.5018 0.9792 0.4977  5 O 2.38-2.61
Na21 0.0072 0.9997 0.9967  6 O 2.42-2.67
Na22 0.4932 0.0009 0.9993  6 O 2.51-2.64
Na23 0.3327 0.3328 0.8346  6 O 2.50-2.55
Na24 0.8336 0.3332 0.8335  6 O 2.49-2.59
Na25 0.3332 0.3334 0.3318  6 O 2.51-2.60
Na26 0.8327 0.3318 0.3323  6 O 2.48-2.60
Na27 0.1786 0.6928 0.1633  5 O 2.38-2.64
Na28 0.6538 0.6507 0.1657  6 O 2.45-2.71
Na29 0.1601 0.6668 0.6650  6 O 2.50-2.67
Na30 0.6604 0.6674 0.6647  6 O 2.50-2.69
Sc1 0.3341 0.3338 0.6863  6 O 2.05-2.17
Sc2 0.8341 0.3343 0.6860  6 O 2.05-2.18
Sc3 0.8325 0.3330 0.1861  6 O 2.06-2.18
Ta1 0.0010 0.0014 0.3573  6 O 1.95-2.01
Ta2 0.4982 0.9955 0.3555  6 O 1.92-2.06
Ta3 0.0000 0.0011 0.8588  6 O 1.96-2.01
Ta4 0.5001 0.9993 0.8586  6 O 1.97-2.00
Ta5 0.9998 0.9965 0.6445  6 O 1.94-2.05
Ta6 0.5004 0.9977 0.6445  6 O 1.94-2.05
Ta7 0.0032 0.0008 0.1442  6 O 1.94-2.06
Ta8 0.4966 0.9979 0.1435  6 O 1.94-2.05
Ta9 0.3365 0.3341 0.1882  6 O 1.93-2.08
Ta10 0.3327 0.3328 0.9766  6 O 1.96-2.02
Ta11 0.8336 0.3341 0.9777  6 O 1.98-2.01
Ta12 0.3308 0.3354 0.4786  6 O 1.94-2.05
Ta13 0.8344 0.3338 0.4773  6 O 1.97-2.02
Ta14 0.1707 0.6735 0.0213  6 O 1.93-2.07
Ta15 0.6628 0.6600 0.0194  6 O 1.91-2.06
Ta16 0.1648 0.6662 0.5184  6 O 1.91-2.05
Ta17 0.6658 0.6683 0.5186  6 O 1.93-2.03
Ta18 0.1695 0.6715 0.3119  6 O 1.92-2.07
Ta19 0.6644 0.6659 0.3115  6 O 1.94-2.06
Ta20 0.1668 0.6662 0.8139  6 O 1.93-2.07
Ta21 0.6668 0.6666 0.8139  6 O 1.94-2.07
Si1 0.1447 0.9999 0.2512  4 O 1.63-1.66
Si2 0.6415 0.9960 0.2492  4 O 1.63-1.65
Si3 0.3565 0.7119 0.2500  4 O 1.63-1.65
Si4 0.8564 0.7147 0.2505  4 O 1.62-1.66
Si5 0.0008 0.2887 0.2508  4 O 1.62-1.66
Si6 0.4985 0.2844 0.2512  4 O 1.63-1.66
Si7 0.1423 0.2877 0.7508  4 O 1.62-1.67
Si8 0.6427 0.2881 0.7509  4 O 1.62-1.67
Si9 0.0013 0.7150 0.7522  4 O 1.62-1.67
Si10 0.5014 0.7148 0.7518  4 O 1.62-1.67
Si11 0.3558 0.9971 0.7511  4 O 1.62-1.67
Si12 0.8558 0.9977 0.7512  4 O 1.62-1.67
Si13 0.4798 0.3368 0.5842  4 O 1.61-1.67
Si14 0.9795 0.3367 0.5853  4 O 1.62-1.67
Si15 0.1874 0.0397 0.5850  4 O 1.62-1.66
Si16 0.6885 0.0424 0.5844  4 O 1.62-1.65
Si17 0.3339 0.6255 0.5845  4 O 1.62-1.65
Si18 0.8342 0.6234 0.5836  4 O 1.62-1.66
Si19 0.4760 0.6209 0.0821  4 O 1.62-1.66
Si20 0.9795 0.6234 0.0845  4 O 1.63-1.66
Si21 0.3333 0.0487 0.0826  4 O 1.62-1.64
Si22 0.8328 0.0420 0.0844  4 O 1.62-1.66